Chapter 26: Superior Variant

With Kuro leading the way, we walked towards the center of the garden where everyone was gathering. On our way, Leal’s butler and maid-themed mercenary members gathered at the side of the cemented pathway and bowed their heads on us. “Greetings, Master Leal and new faction leader, Casimir.” I nodded at them and continued. As I looked back from our …

Chapter 25: Spriggan

*** (Third Person) As the sun slowly fell above the sky of the lawless town of Agrona. Inside a certain mansion located in the innermost part of the territory of the Spriggan faction. The current leader of the Spriggan faction Tanya put some of her silver hair at the back of her pointed ears as she shifted her gaze upon …

Chapter 24: Covenant

“I don’t hate you, Casimir. You look like a very kind person, but… I can’t… I just can’t.” He shook his head while looking at me with distress in his eyes. “Don’t ruin everyone’s life just because you felt like it.” While shivering he slowly moved towards me and raised his fists. “I don’t think you can still fight. It’s …

Chapter 23: Bad Matchup

I aimed my hands at him and blasted both the Fire and Electricity magic at once, but as expected, he’s so fast that he dodged my attacks almost easily. But thanks to the effect of Warrior’s rage and by activating the skill Extreme speed I became much faster than him and managed to catch up on him. I blasted my …

Chapter 22: Leal

“Go kick his ass, boss!” I exhaled as I entered the arena and went straight to the middle. As I walked, the roars of the spectators resonated throughout the place, with some of them jumping due to extreme excitement while looking at me from the audience platform where a tall wall was separating the arena and the audience platform above. …

Chapter 21: Marionette Faction

I yawned as I stared at the energetic demon in front of me flexing his muscular arms. Along with the loud roars of the spectators huddling around us in front of the faction base. First thing in the morning, this is what I got after a devastating drinking session last night! He faced me and pointed his index finger at …

Chapter 20: Goal

The party continued and Leo kept on drinking as if tomorrow will never come. However, I stood up when I saw some familiar faces joining the crowd while eating. I approached them, all at once all 8 of them immediately stood up the moment they saw me. They were already done when I arrived. I smiled. “Woah, isn’t it the …

Chapter 19: Celebration

After a few minutes of following the security personnel as what they called themselves, we finally reached the venue. And oh boy, I think all of the citizens of this faction’s territory are here! The celebration was taking place in the middle of a huge road under the moonlight. Lights were everywhere with the crowd of people cheering at me. …

_Attached: data records_
********
This record from Materials Project describes a relaxed ScCd7 crystal. The functional is r2SCAN.

DFT formation energy in meV per atom: -125
E in eV per atom: -19.142
Magnetic moment in μB per formula unit: 0.0

Unit cell a=7.3252 b=10.0985 c=9.3175 alpha=90.00 beta=90.00 gamma=90.00
Closest atoms and distances in Å follow each position.
Space group Cmcm (No. 63)
Inequivalent atoms, fractional coordinates:
Sc 0.0000 0.0215 0.2500 [4 per cell]  12 Cd 3.12-3.19
Cd 0.0000 0.2088 0.5179 [8 per cell]  9 Cd 2.99-3.32, 2 Sc 3.13-3.18
Cd 0.0000 0.4128 0.7500 [4 per cell]  10 Cd 2.93-3.25
Cd 0.2019 0.3009 0.2500 [8 per cell]  9 Cd 2.96-3.25, 2 Sc 3.12-3.19
Cd 0.2098 0.5000 0.0000 [8 per cell]  7 Cd 2.93-3.08, 2 Sc 3.16



This record from Materials Project describes a relaxed Sc2TlCd crystal. The functional is r2SCAN.

DFT formation energy in meV per atom: -344
E in eV per atom: -24.365
Magnetic moment in μB per formula unit: 0.9

Unit cell a=7.1002 b=7.1002 c=7.1002 alpha=90.00 beta=90.00 gamma=90.00
Closest atoms and distances in Å follow each position.
Space group Fm-3m (No. 225)
Inequivalent atoms, fractional coordinates:
Sc 0.2500 0.2500 0.2500 [8 per cell]  4 Cd 3.07, 4 Tl 3.07
Tl 0.0000 0.0000 0.0000 [4 per cell]  8 Sc 3.07
Cd 0.0000 0.0000 0.5000 [4 per cell]  8 Sc 3.07



> Among the records above, which one has the highest E?

ScCd7


Record 1
! KBa2Zn3B9O19 | the Materials Project | GGA-PBE | optimized geometry; values from VASP
! Total magnetic moment = 0.00 μB/cell
! Calculated total energy = -487.52 eV/cell
&SYSTEM
  ibrav = 0, nat = 68, ntyp = 5
/
ATOMIC_SPECIES
K 39.10 K.upf
Ba 137.33 Ba.upf
Zn 65.41 Zn.upf
B 10.81 B.upf
O 16.00 O.upf
ATOMIC_POSITIONS crystal
K 0.8452 0.0095 0.0807
K 0.1548 0.9905 0.9193
Ba 0.3604 0.9042 0.2234
Ba 0.6396 0.0958 0.7766
Ba 0.2838 0.6185 0.4277
Ba 0.7162 0.3815 0.5723
Zn 0.6342 0.2967 0.3768
Zn 0.3658 0.7033 0.6232
Zn 0.7011 0.5995 0.2419
Zn 0.2989 0.4005 0.7581
Zn 0.1712 0.6448 0.0498
Zn 0.8288 0.3552 0.9502
B 0.4641 0.5066 0.1033
B 0.5359 0.4934 0.8967
B 0.9918 0.0633 0.2469
B 0.0082 0.9367 0.7531
B 0.2497 0.4396 0.2692
B 0.7503 0.5604 0.7308
B 0.1629 0.9972 0.4004
B 0.8371 0.0028 0.5996
B 0.7491 0.3869 0.1178
B 0.2509 0.6131 0.8822
B 0.7881 0.7352 0.4273
B 0.2119 0.2648 0.5727
B 0.8687 0.3355 0.2434
B 0.1313 0.6645 0.7566
B 0.3603 0.1282 0.0832
B 0.6397 0.8718 0.9168
B 0.8963 0.1164 0.4272
B 0.1037 0.8836 0.5728
O 0.3565 0.0254 0.3830
O 0.6435 0.9746 0.6170
O 0.1920 0.9305 0.0703
O 0.8080 0.0695 0.9298
O 0.7401 0.9036 0.4344
O 0.2599 0.0964 0.5656
O 0.6889 0.3410 0.2791
O 0.3111 0.6590 0.7209
O 0.3318 0.3031 0.0693
O 0.6682 0.6969 0.9307
O 0.8596 0.4293 0.0531
O 0.1404 0.5707 0.9469
O 0.9692 0.8698 0.2548
O 0.0308 0.1302 0.7452
O 0.6304 0.5357 0.4344
O 0.3696 0.4643 0.5656
O 0.6564 0.5428 0.1359
O 0.3436 0.4572 0.8641
O 0.8543 0.2776 0.4373
O 0.1457 0.7224 0.5627
O 0.1074 0.1599 0.4103
O 0.8926 0.8401 0.5897
O 0.8978 0.4193 0.1751
O 0.1022 0.5807 0.8249
O 0.0024 0.7900 0.4154
O 0.9976 0.2100 0.5846
********

Chapter 18: Visitors

Misplaced calculated crystals:
<<<
PBE HfMg6SiO8, relaxed; ΔE_f = -2.539 eV/atom; offset from the most stable computed form = 51.0 meV/atom; calculated volume = 10.866 A^3/atom
1.0
4.2886 0.0000 0.0000
0.0000 4.2886 0.0000
0.0000 0.0000 9.4530
Hf Mg Si O
1 6 1 8
direct
0.0000 0.0000 0.0000 Hf
0.0000 0.0000 0.5000 Mg
0.0000 0.5000 0.2696 Mg
0.0000 0.5000 0.7304 Mg
0.5000 0.0000 0.2696 Mg
0.5000 0.0000 0.7304 Mg
0.5000 0.5000 0.5000 Mg
0.5000 0.5000 0.0000 Si
0.0000 0.0000 0.2469 O
0.0000 0.0000 0.7531 O
>>>

I raised my head as I stepped inside the inn, finally free from the eyes gazing all over me. “I think they all like you,” Misha said while holding my hand. “I just hope so.” I found mister Rudwick standing at the counter while smiling at me. “Welcome back, Master Casimir.” “Please not you too.” He gently chuckled. “Congratulations for  …

Chapter 17: Leader

(Attached: crystal structures)
+++
This record from Materials Project describes crystalline VOF at its relaxed geometry. The functional is PBE with a Hubbard U.

Properties
- SG = No. 6
- V (Å³ per atom) = 11.63
- formation enthalpy at 0 K (eV/atom) = -2.801

abc: 3.098 4.754 18.985
angles: 86.19 90.00 90.00
Sites, in units of the cell vectors:
O (0.000, 0.309, 0.675)
V (0.500, 0.482, 0.125)
O (0.000, 0.288, 0.175)
V (0.000, 0.992, 0.250)
V (0.500, 0.498, 0.375)
F (0.500, 0.805, 0.451)
V (0.000, 0.955, 0.999)
O (0.000, 0.715, 0.824)
V (0.000, 0.016, 0.750)
O (0.000, 0.703, 0.575)
O (0.000, 0.685, 0.077)
V (0.500, 0.507, 0.625)
F (0.500, 0.814, 0.701)
F (0.500, 0.189, 0.046)
O (0.500, 0.799, 0.950)
F (0.500, 0.198, 0.549)
O (0.000, 0.697, 0.326)
V (0.000, 0.002, 0.500)
O (0.000, 0.299, 0.425)
V (0.500, 0.551, 0.876)
F (0.500, 0.192, 0.299)
F (0.500, 0.795, 0.202)
F (0.500, 0.210, 0.801)
F (0.000, 0.302, 0.924)
+++

I opened my eyes and the first thing I saw was the pair of Misha’s blue eyes looking at me while sitting next to me. She gasped as soon as she saw me open my eyes and hug me. “Big bro Casimir!” “Don’t worry, I’m still kicking.” Misha smiled at me and leaned her head on my arms. I wanted …